This just started today. I am losing power when I push the gas all way in. It runs fine unless I need to go up a big hill, which i do regularly. It seems that the trans just stops. I go from mid 70's down to 60mph going up a hill. I get a sound (best way I can explain) when I floor it as if sticking a piece of paper into fan blades. Any ideas? Thanks in advance! Is the trans going out?
Pre-ignition issue ? (Detonation?) Uphill's load the engine up. Timing issues/pre-ignition problems typically show up on hills first..
If you are getting pre-ignition, or pinking, you should try higher octane gas first. Use 91 (AKI or R+M/2) or higher. If you are often at significant elevation you can use lower than 91 (AKI or R+M/2). What octane rating are you using currently? But in all likelihood, the regular mountain work has taken a toll on the HV battery. Be prepared to be replacing it in the near future. * AKI or R+M/2 is used in USA.
I was thinking I may have some watered down gas as got from a station normally don't. I will run higher octane etc and try. Thanks for info
How does your air filter look? Also, consider cleaning your MAF sensor. Yes, this could be another HV battery issue but don't forget to consider non-HV battery possibilities. Paul
Changed the filter last week as do every few oil changes and always add Lucas Oil treatment and Lucas Fuel injector cleaner with oil changes.
**Here the piece breaks off for data records**
~~~
(1)
Crystalline AgRhAu2 at its relaxed geometry. Source: the Alexandria database, functional PBE-GGA.

```
4
Lattice="-2.1185 2.1185 3.7912 2.1185 -2.1185 3.7912 2.1185 2.1185 -3.7912" Properties=species:S:1:pos:R:3 pbc="T T T"
Au 2.1185 0.0000 1.8956
Au 0.0000 2.1185 1.8956
Ag 0.0000 0.0000 0.0000
Rh 0.0000 0.0000 3.7912
```

Results
The symmetry is I4/mmm, No. 139. The value obtained for the formation energy is 0.137 eV per atom. The calculation puts the excess energy over the best structure of this formula in the dataset at 56 meV/atom.

***

(2)
Crystalline PmEr3Tm7 at its relaxed geometry. Source: the Alexandria database, functional PBE-GGA.

```
11
Lattice="8.5018 0.0000 0.0000 0.0000 6.9649 0.0000 0.0000 -3.4824 6.0318" Properties=species:S:1:pos:R:3 pbc="T T T"
Er 6.6714 3.4824 0.0065
Er 6.6714 5.2180 3.0126
Er 6.6714 1.7469 3.0126
Tm 0.9980 0.0000 2.0229
Tm 0.9980 1.7305 5.0203
Tm 0.9980 -1.7305 5.0203
Tm 3.8056 3.4824 4.0067
Tm 3.8056 5.2111 1.0125
Tm 1.0057 3.4824 2.0106
Tm 3.8056 1.7538 1.0125
Pm 3.8063 0.0000 4.0212
```

Results
The symmetry is P3m1, No. 156. The value obtained for the formation energy is 0.201 eV per atom. The calculation puts the excess energy over the best structure of this formula in the dataset at 42 meV/atom.

***

(3)
Crystalline YGa2Ni at its relaxed geometry. Source: the Alexandria database, functional PBE-GGA.

```
16
Lattice="-2.1764 -3.8913 -3.0515 -0.6325 -3.8796 5.3985 -7.0838 2.9503 1.2902" Properties=species:S:1:pos:R:3 pbc="T T T"
Ni -5.5188 -2.5967 3.6828
Ni -4.3740 -2.2240 -0.0455
Ni -8.4498 -1.7033 -0.1489
Ni -1.4430 -3.1173 3.7862
Ga -3.4386 -2.7097 2.2346
Ga -3.6852 -4.2226 4.3399
Ga -6.6439 -1.7047 5.8028
Ga -3.2489 -3.1160 -2.1655
Ga -6.2075 -0.5980 -0.7026
Ga -6.3972 -0.1917 3.6975
Ga -6.4542 -2.1110 1.4027
Ga -3.4956 -4.6290 -0.0602
Y -1.2585 -2.3353 0.2395
Y -4.2340 0.1524 1.6786
Y -5.6588 -4.9731 1.9586
Y -8.6343 -2.4853 3.3978
```

Results
The symmetry is Pnma, No. 62. The value obtained for the formation energy is -0.606 eV per atom.

***

(4)
Crystalline TeAs2Cl at its relaxed geometry. Source: the Alexandria database, functional PBE-GGA.

```
4
Lattice="-0.6952 3.7766 -0.4640 -5.4342 -0.8398 1.3067 0.8802 0.6642 4.0874" Properties=species:S:1:pos:R:3 pbc="T T T"
As -3.0647 1.4684 0.4214
As 0.0000 0.0000 0.0000
Cl 0.0925 2.2204 1.8117
Te -2.2770 -0.0878 2.6971
```

Results
The symmetry is Pmmm, No. 47. The calculation puts the raw formation energy at 1.79 eV per formula unit. The calculation puts the excess energy over the best structure of this formula in the dataset at 584 meV/atom.

***

(5)
Crystalline V2SnBr6 at its relaxed geometry. Source: the Alexandria database, functional PBE-GGA.

```
9
Lattice="3.9623 0.0000 0.0000 -1.9811 7.0498 -2.6092 0.0000 0.1945 10.3232" Properties=species:S:1:pos:R:3 pbc="T T T"
Br 1.9811 2.3330 5.1589
Br 0.0000 0.8153 8.0856
Br 0.0000 4.3671 7.6418
Br 0.0000 4.9114 2.5551
Br 1.9811 6.4291 -0.3716
Br 1.9811 2.8773 0.0721
Sn 3.9623 0.0973 5.1616
~~~
If there are no codes then it's probably not pre-ignition. At 300+K miles I would definitely look at the plugs, but plugs do not cause problems like this unless they completely fall apart. I would suspect bad gas if this came on suddenly. Consider draining it and refueling with known good stuff. Wow! 300+K miles!
How much oil does it burn, has the catalytic converter ever been changed, i'm thinking plugged exhaust.
Next to the piece, the page also holds data records:
~~~
A relaxed InWBr crystal. Source: Alexandria, functional PBE.

Unit cell a=6.643 b=6.643 c=6.643 alpha=90.00 beta=90.00 gamma=90.00
Space group F-43m (No. 216)
Asymmetric unit:
In: 0.000 0.000 0.000
W: 0.250 0.250 0.750
Br: 0.000 0.000 0.500

## Properties
The volume comes out at 24.4 Å³/atom. The total DFT energy (no corrections) comes out at -4.44 eV/atom. The value obtained for the uncorrected formation energy is 1.346 eV/atom. The energy above the most stable polymorph in this dataset comes out at 825 meV per atom.

A relaxed ZnFe4C crystal. Source: Alexandria, functional PBE.

Unit cell a=11.652 b=4.622 c=5.108 alpha=90.00 beta=107.15 gamma=90.00
Space group C2/c (No. 15)
Asymmetric unit:
Zn: 0.000 0.087 0.250
Fe: 0.094 0.420 0.952
Fe: 0.201 0.096 0.638
C: 0.250 0.250 0.000

## Properties
The volume comes out at 11.0 Å³/atom. The total DFT energy (no corrections) comes out at -7.35 eV/atom. The value obtained for the energy of formation is 46 meV/atom.

A relaxed ZrTa2Ir crystal. Source: Alexandria, functional PBE.

Unit cell a=2.946 b=4.632 c=5.360 alpha=90.00 beta=101.32 gamma=90.00
Space group P2/m (No. 10)
Asymmetric unit:
Zr: 0.000 0.000 0.000
Ta: 0.263 0.500 0.748
Ir: 0.500 0.000 0.500

## Properties
The volume comes out at 17.9 Å³/atom. The total DFT energy (no corrections) comes out at -10.52 eV/atom. The value obtained for the energy of formation is -239 meV/atom.

A relaxed TmCd2Hg3 crystal. Source: Alexandria, functional PBE.

Unit cell a=5.1004 b=5.1004 c=12.4170 alpha=90.00 beta=90.00 gamma=120.00
Space group P-3m1 (No. 164)
Asymmetric unit:
Tm: 0.3333 0.6667 0.1618
Cd: 0.0000 0.0000 0.0000
Cd: 0.0000 0.0000 0.5000
Cd: 0.3333 0.6667 0.6680
Hg: 0.0000 0.0000 0.2505
Hg: 0.3333 0.6667 0.4137
Hg: 0.3333 0.6667 0.9140

## Properties
The volume comes out at 23.3 Å³/atom. The total DFT energy (no corrections) comes out at -1.40 eV/atom. The value obtained for the energy of formation is -201 meV/atom. The energy above the most stable polymorph in this dataset comes out at 0 meV per atom.

A relaxed K2AcCu2O4 crystal. Source: Alexandria, functional PBE.

Unit cell a=12.513 b=4.030 c=9.189 alpha=90.00 beta=130.94 gamma=90.00
Space group C2/m (No. 12)
Asymmetric unit:
K: 0.120 0.000 0.458
Ac: 0.000 0.500 0.000
Cu: 0.190 0.500 0.805
O: 0.031 0.500 0.765
O: 0.167 0.000 0.197

## Properties
The volume comes out at 19.4 Å³/atom. The total DFT energy (no corrections) comes out at -5.38 eV/atom. The value obtained for the uncorrected formation energy is -1.566 eV/atom.

A relaxed LiScNb2 crystal. Source: Alexandria, functional PBE.

Unit cell a=3.854 b=3.854 c=20.769 alpha=90.00 beta=90.00 gamma=90.00
Space group I-42d (No. 122)
Asymmetric unit:
Li: 0.000 0.000 0.000
Sc: 0.000 0.000 0.500
Nb: 0.250 0.250 0.375

## Properties
~~~
Here the piece continues:
It is getting a catalytic code now so need to replace that. I am skeptical though to spend that $$ because the battery is still not charging fully and drains very quickly then only charges 50%. The person that hooked it up to scanner said there are no issues with the battery but I find that hard to believe. He also said getting a code for water pump that cools the batteries - could that be preventing it from charging correctly and draining so fast?
The HV battery is air cooled but the inverter has a water pump to cool it. Is your inverter resevoir full and can you see movement in the tank?
So it seems you have an overheating inverter, from a failed inverter pump. That would explain the power loss
How fast does the display cycle between full bars and low bars, starting the engine? What’s your mpg been recently?
Hello, my car shows similar issues. Some key specs about the car and the situation 2007 Prius, with about 255K Miles Doesn't quickly accelerate without a "rattling" sound when I floor the pedal Loses power uphill, and barely maintains beyond 60MPH Same "rattling" sound when I put on Cruise Control Mentioned it to Dealership mechanic, who suggested Water Pump and Drive Belt, pre-diagnostic. Professional diagnostic would've been more $$ Code shows Catalytic converter and misfiring. Please help. Thanks !
## Next to the article, the page also holds calculated crystals
+++
# 1
Computed, not measured: DyZnGaCu after structural relaxation at the PBE-GGA level of DFT.

ΔE_f = -320.5 meV per atom
E_tot = -57.1 eV/cell
Mass density = 8595 kg/m3
Calculated volume = 279 Å³ per cell

a b c (Å): 6.535 6.535 6.535
angles (deg): 90.00 90.00 90.00
Space group F-43m (No. 216)
Unique sites:
Dy 0.000 0.000 0.000 x4
Zn 0.250 0.250 0.250 x4
Ga 0.000 0.000 0.500 x4
Cu 0.250 0.250 0.750 x4



# 2
Computed, not measured: DyZn8Ga2Cu after structural relaxation at the PBE-GGA level of DFT.

ΔE_f = -85.6 meV per atom
E_tot = -51.9 eV/cell
Mass density = 7211 kg/m3
Calculated volume = 409 Å³ per cell

a b c (Å): 7.402 4.910 11.495
angles (deg): 90.00 101.54 90.00
Space group C2/m (No. 12)
Unique sites:
Dy 0.000 0.000 0.000 x2
Zn 0.047 0.248 0.317 x8
Zn 0.173 0.500 0.540 x4
Zn 0.241 0.500 0.170 x4
Ga 0.123 0.500 0.874 x4
Cu 0.000 0.000 0.500 x2



# 3
Computed, not measured: DyZrGaCu after structural relaxation at the PBE-GGA level of DFT.

ΔE_f = -309.4 meV per atom
E_tot = -86.0 eV/cell
Mass density = 7992 kg/m3
Calculated volume = 322 Å³ per cell

a b c (Å): 6.852 6.852 6.852
angles (deg): 90.00 90.00 90.00
Space group F-43m (No. 216)
Unique sites:
Dy 0.000 0.000 0.000 x4
Zr 0.000 0.000 0.500 x4
Ga 0.250 0.250 0.750 x4
Cu 0.250 0.250 0.250 x4



# 4
Computed, not measured: GdDy2Cu after structural relaxation at the PBE-GGA level of DFT.

ΔE_f = -92.7 meV per atom
E_tot = -27.8 eV/cell
Mass density = 8521 kg/m3
Distance to the lowest polymorph of the same formula = 0.0 meV per atom
Calculated volume = 106 Å³ per cell

a b c (Å): 3.497 3.497 8.696
angles (deg): 90.00 90.00 90.00
Space group P4/mmm (No. 123)
Unique sites:
Gd 0.000 0.000 0.000 x1
Dy 0.500 0.500 0.305 x2
Cu 0.000 0.000 0.500 x1



Which formula does entry 1 have?
DyZnGaCu


LiFePHO5 | PBE with a Hubbard U | optimized geometry

For the total magnetization, the calculation gives 8.0 μB per cell. Its total energy is -115.8 eV per cell.

The space group is P-1 (No. 2) and the conventional cell measures 5.1557, 5.4291 and 7.2923 Å, with angles of 105.27, 109.54 and 99.18 degrees. The inequivalent atoms are Li at (0.2482, 0.3944, 0.3277), Fe at (0.5000, 0.0000, 0.0000), Fe at (0.5000, 0.0000, 0.5000), P at (0.1725, 0.3612, 0.7314), H at (0.1413, 0.9341, 0.1636), O at (0.1399, 0.7497, 0.4358), O at (0.1897, 0.6535, 0.8437), O at (0.2201, 0.1996, 0.8806), O at (0.3439, 0.0445, 0.2297) and O at (0.3828, 0.3482, 0.6216).
+++
How did you get the codes, if you declined the dealer diagnosis? There may be other codes the code reader you used cannot see. As a WAG, this does sound more like your HV (hybrid vehicle) battery getting very weak. In addition, the misfire could be related to that or could be a separate issue that cleaning the throttle body and MAF may fix. A poorly performing ICE can contribute P0420 (if that the code to which you are alluding). If you can get the codes read and get all of them that have been set, we can give more specific advice.
I'm not aware of a way for a weak traction battery to cause engine misfiring. Misfires will usually be caused by the usual suspects. Codes about the catalytic converter might reflect the unburned fuel coming out in the exhaust after misfiring, but that unburned fuel can also do real damage to the cat converter, in which case just fixing the misfiring, while necessary, will not make the cat codes go away.
Your cats bad at minimum, possibly old traction battery also. If you need to go to the dealer or any mechanic to fix it you would be better off selling it. The only possible way to break even at this point in your cars life is if you can do the repairs yourself. If you cant then sell it.